“Sense of place” of Thermodynamic Approaches in climate-oriented Architecture
Post occupancy evaluation in Cehsa futura
By: Fatemeh Nejati
Faculty: Jordi Vivaldi


The idea of spirit of place has echoed through the ages. It derives from an ancient and widespread belief that particular bits of the world are occupied by gods, or spirits who have to be propitiated. This was a key element of Roman religion. In order to the western and eastern philosophers, the “Sense of place” have discussed as an important parameter to understand the phenomenology oy of the place. Genius loci is the Latin for the spirit or guardian deity of a place and is a phrase that has been adopted in English and into other languages and achieved a broad degree of popularity. A quick Google search for genius loci brought up links to a recent art exhibition featuring the work of Chinese artist Ai Weiwei and others, an American kick-starter campaign for a book on tales of the spirit of place, the name of travel company specializing in Italy, and an art project in Weimar in Germany.

Architecture belongs to poetry, and its purpose is to help man to dwell. But architecture is a difficult art. To make practical towns and buildings is not enough. Architecture comes into being when a total environment is made visible, to quote the definition of “Susanne Langer”. In general, this means to concretize the Genious loci[1]. When the fire dies, its remains become cold, just as the body becomes cold when a person dies. Drawing a parallel to the concept of the soul that animates the physical body of the person, the fire, then, is the animating spirit for the body of the house. [2]

Key words: Sense of place- spirit of place- Post occupancy evaluation- Chesa Futura

[1]Norberg-Schulz. Christian.1980- Genius Loci: Towards a Phenomenology of Architecture
[2] Luis Fernández-Galiano. 2000- Fire and Memory (on Architecture and Energy)

== What comes next are crystal structures, not part of the article ==
+++
1.
Structure and theoretical powder diffractogram of CsGaH4 (a GGA-PBE-relaxed structure; CuKα).

Cell and atoms:
Unit cell a=5.5639 b=5.5639 c=7.7857 alpha=90.00 beta=90.00 gamma=90.00
Fractional positions:
Cs  0.2500  0.7500  0.2500
Cs  0.7500  0.2500  0.7500
Ga  0.2500  0.7500  0.7500
Ga  0.7500  0.2500  0.2500
H  0.0155  0.7500  0.6314
H  0.2500  0.5155  0.8686
H  0.2500  0.9845  0.8686
H  0.4845  0.7500  0.6314
H  0.5155  0.2500  0.3686
H  0.7500  0.0155  0.1314
H  0.7500  0.4845  0.1314
H  0.9845  0.2500  0.3686

Most intense lines, 2θ = 10–90°, sorted by position:
3.934 Å, I 100
3.893 Å, I 49
2.782 Å, I 40
2.767 Å, I 79
2.263 Å, I 45
1.603 Å, I 30

2.
Structure and theoretical powder diffractogram of Li2SnO2F6 (a GGA-PBE-relaxed structure; CuKα).

Cell and atoms:
Unit cell a=5.7075 b=5.7075 c=4.6938 alpha=92.10 beta=92.10 gamma=73.72
Fractional positions:
Li  0.0000  0.5000  0.0000
Li  0.5000  0.0000  0.0000
Sn  0.0000  0.0000  0.5000
O  0.3487  0.3487  0.2039
O  0.6513  0.6513  0.7961
F  0.1109  0.6943  0.7202
F  0.1746  0.1746  0.7848
F  0.3057  0.8891  0.2798
F  0.6943  0.1109  0.7202
F  0.8254  0.8254  0.2152
F  0.8891  0.3057  0.2798

Most intense lines, 2θ = 10–90°, sorted by position:
5.477 Å, I 100
4.689 Å, I 21
3.611 Å, I 30
3.514 Å, I 32
2.393 Å, I 38
2.013 Å, I 18

3.
Structure and theoretical powder diffractogram of Li2InSn (a GGA-PBE-relaxed structure; CuKα).

Cell and atoms:
Unit cell a=4.8390 b=4.8390 c=4.8390 alpha=60.00 beta=60.00 gamma=60.00
Fractional positions:
Li  0.2500  0.2500  0.2500
Li  0.7500  0.7500  0.7500
In  0.0000  0.0000  0.0000
Sn  0.5000  0.5000  0.5000

Most intense lines, 2θ = 10–90°, sorted by position:
3.422 Å, I 100
2.420 Å, I 94
1.976 Å, I 29
1.530 Å, I 38
1.397 Å, I 34
1.141 Å, I 19

4.
Structure and theoretical powder diffractogram of La2CuTe2O (a GGA-PBE-relaxed structure; CuKα).

Cell and atoms:
Unit cell a=3.6722 b=3.6722 c=15.3954 alpha=90.00 beta=90.00 gamma=90.00
Fractional positions:
La  0.0000  0.0000  0.1367
La  0.0000  0.0000  0.8633
Cu  0.0000  0.0000  0.5000
Te  0.0000  0.0000  0.3424
Te  0.0000  0.0000  0.6576
O  0.0000  0.0000  0.0000

Most intense lines, 2θ = 10–90°, sorted by position:
3.849 Å, I 18
3.672 Å, I 100
2.657 Å, I 27
2.597 Å, I 40
2.103 Å, I 22
1.642 Å, I 19

5.
Structure and theoretical powder diffractogram of Cr4Ga6Se15 (a GGA-PBE-relaxed structure; CuKα).

Cell and atoms:
Unit cell a=6.5781 b=6.5781 c=15.9180 alpha=94.10 beta=94.10 gamma=118.45
Fractional positions:
Cr  0.0000  0.0000  0.0000
Cr  0.3434  0.6570  0.0014
Cr  0.6570  0.3434  0.0014
Cr  0.8704  0.8704  0.6023
Ga  0.0936  0.4135  0.2393
Ga  0.1519  0.8125  0.4428
Ga  0.4135  0.0936  0.2393
Ga  0.5880  0.9250  0.7614
Ga  0.8125  0.1519  0.4428
Ga  0.9250  0.5880  0.7614
Se  0.0252  0.3623  0.0826
Se  0.0707  0.7666  0.2852
Se  0.1584  0.1584  0.5093
Se  0.2235  0.9186  0.7094
Se  0.3035  0.3035  0.9181
Se  0.3623  0.0252  0.0826
Se  0.4500  0.4500  0.2955
Se  0.5155  0.8216  0.4957
+++


The phenomenology approach of sense of place in its existential and performance sides in cehsa futura building which is a climate-oriented building could develop. researching on post occupancy evaluation (building in its urban context) by using a survey from visitors.


Inductive research in this study moves from specific observations of the sense of place of the residents by survey tools. The hashtag of Chesa Futura is full of the beautiful pictures in all the seasons but the question is What is the sense of place of Chesa Futura for its visitors and residents? The post occupancy evaluation is the main approach of this research. Instagram was chosen to find people who are living in Chesa Futura. The main question is: Are the climate consideration Approach of the building bring you warmth and intimacy in your daily lifestyle? Are the passive heating and cooling system give you comfort?

Three specific messages about the sense of intimacy, flexibility and warmness of Chesa futura in urban context for 44 people (Architects, Bloggers and travelers) were sent


The collaborators Jobs. Nejati2021


The measurement of the paradigms of  sense of place in Chesa futura. Nejati2021



In this paper, the Spirit of place approach was discussed as a means to move away from the duality between culture and environment in Architecture to post occupancy evaluation approach. Unlike computational or mental representations about human–environment relationships, the sense of place is: (1) relational – a a network of relations between environment, culture, body and mind; (2) situational –time direct perception-action processes actualize relations between environment, culture, body and mind; and (3) dynamical –they provide change through pathways of actualized perception-action processes. The sense of place approach has many implications for the methods used to assess human–environment relationships in Architecture. This paper showed through the example of the Chesa futura building how to approach sense of place from post occupancy approach. However, this approach is not complete and has both strengths and weaknesses. To this end, how different positions on science and research can come together to address much of the complexity facing human-occupies dynamics in the openness to alternative metatheories or worldviews of human–environment relationships,



44 anonymous people in social media who empathize with the research and collaborate to collect the data.



“Sense of place” of Thermodynamic Approaches in climate-oriented Architecture is a research of IAAC,  Institute for Avdanced Architecture of Catalonia developed at MAEBB 2021. for more information contact via Email.

Student: Fatemeh Nejati (linked-in: Fatemeh-Nejati)

Faculty: Jordi Vivaldi